Search the data below for the word "angles" and type out each line that has it.
********
A relaxed La2Tb2Nd4Sm crystal. Source: the Alexandria database, functional PBE.

Cell: 3.701 9.765 9.813 Å, 115.25 90.00 100.92°
Positions (direct):
Nd1 0.519 0.037 0.336
La1 0.334 0.667 0.002
Tb1 0.148 0.296 0.666
Nd2 0.481 0.963 0.664
Tb2 0.852 0.704 0.334
Sm1 0.000 0.000 0.000
La2 0.666 0.333 0.998
Nd3 0.814 0.628 0.666
Nd4 0.186 0.372 0.334

Output
As for the space group: No. 12. The calculation puts the calculated density at 7.00 g/cm³. Its total energy is -42.855 eV per cell. Its formation energy is 4.9 kJ/mol of formula units. For the volume, the calculation gives 34.85 A^3/atom.

=====

DFT (PBE-GGA) results for PaHgBr3 after structural relaxation.

## Properties
- raw total energy (eV per atom) = -4.00
- distance to the lowest polymorph of the same formula (kJ per mole of atoms) = 0.0
- raw formation energy (kJ/mol of formula units) = -498.8
- space-group type = R-3 (148)

a b c (Å): 6.874 6.874 11.303
angles (deg): 72.30 72.30 60.00
Last column: magnetic moment on the atom in μB.
Fractional positions:
Br (0.556, 0.222, 0.334)  -0.02
Br (0.778, 0.112, 0.666)  -0.02
Br (0.888, 0.556, 0.334)  -0.02
Br (0.112, 0.444, 0.666)  -0.02
Br (0.444, 0.778, 0.666)  -0.02
Br (0.222, 0.888, 0.334)  -0.02
Hg (0.334, 0.334, 0.998)  0.00
Hg (0.666, 0.666, 0.002)  0.00
Pa (0.167, 0.167, 0.500)  1.66
Pa (0.833, 0.833, 0.500)  1.66

=====

(1)
The following is a PBE calculation of an optimized crystal structure of LuHfMgCd, from Alexandria.

Cell lengths 5.0697, 5.0697, 5.0697 Å; angles 60.00, 60.00, 60.00 degrees
Closest atoms and distances in Å follow each position.
Atoms (fractional coordinates):
Hf: 0.0000 0.0000 0.0000  4 Mg 3.10, 4 Cd 3.10
Cd: 0.7500 0.7500 0.7500  4 Lu 3.10, 4 Hf 3.10
Lu: 0.5000 0.5000 0.5000  4 Cd 3.10, 4 Mg 3.10
Mg: 0.2500 0.2500 0.2500  4 Lu 3.10, 4 Hf 3.10

Computed properties:
Final energy, eV/atom: -4.210
Formation energy, eV per atom: 0.04
Magnetic moment, μB per formula unit: 0.00
ρ, Mg/m³: 8.83

***

(2)
The following is a PBE calculation of an optimized crystal structure of LuHfCdOs, from Alexandria.

Cell lengths 4.8289, 4.8289, 4.8289 Å; angles 60.00, 60.00, 60.00 degrees
Closest atoms and distances in Å follow each position.
Atoms (fractional coordinates):
Lu: 0.5000 0.5000 0.5000  4 Cd 2.96, 4 Os 2.96
Os: 0.2500 0.2500 0.2500  4 Lu 2.96, 4 Hf 2.96
Hf: 0.0000 0.0000 0.0000  4 Cd 2.96, 4 Os 2.96
Cd: 0.7500 0.7500 0.7500  4 Hf 2.96, 4 Lu 2.96

Computed properties:
Final energy, eV/atom: -6.887
Formation energy, eV per atom: -0.23
Magnetic moment, μB per formula unit: 0.00
ρ, Mg/m³: 13.68

***

(3)
The following is a PBE calculation of an optimized crystal structure of LuHfCdPd, from Alexandria.

Cell lengths 4.9190, 4.9190, 4.9190 Å; angles 60.00, 60.00, 60.00 degrees
Closest atoms and distances in Å follow each position.
Atoms (fractional coordinates):
Hf: 0.0000 0.0000 0.0000  4 Pd 3.01, 4 Cd 3.01
Lu: 0.5000 0.5000 0.5000  4 Cd 3.01, 4 Pd 3.01
Cd: 0.2500 0.2500 0.2500  4 Lu 3.01, 4 Hf 3.01
Pd: 0.7500 0.7500 0.7500  4 Lu 3.01, 4 Hf 3.01

Computed properties:
Final energy, eV/atom: -5.482
Formation energy, eV per atom: -0.34
Magnetic moment, μB per formula unit: 0.00
ρ, Mg/m³: 11.29

***

(4)
The following is a PBE calculation of an optimized crystal structure of LuHfCdRe, from Alexandria.

Cell lengths 4.8458, 4.8458, 4.8458 Å; angles 60.00, 60.00, 60.00 degrees
Closest atoms and distances in Å follow each position.
Atoms (fractional coordinates):
Lu: 0.5000 0.5000 0.5000  4 Cd 2.97, 4 Re 2.97
Cd: 0.7500 0.7500 0.7500  4 Hf 2.97, 4 Lu 2.97
Re: 0.2500 0.2500 0.2500  4 Lu 2.97, 4 Hf 2.97
Hf: 0.0000 0.0000 0.0000  4 Re 2.97, 4 Cd 2.97

Computed properties:
Final energy, eV/atom: -7.034
Formation energy, eV per atom: -0.07
Magnetic moment, μB per formula unit: 0.00
ρ, Mg/m³: 13.46

***

> Among the records above, which one has the highest ρ?

LuHfCdOs

***

> Which of these has the highest ρ?

LuHfCdOs
********
angles (deg): 72.30 72.30 60.00
Cell lengths 5.0697, 5.0697, 5.0697 Å; angles 60.00, 60.00, 60.00 degrees
Cell lengths 4.8289, 4.8289, 4.8289 Å; angles 60.00, 60.00, 60.00 degrees
Cell lengths 4.9190, 4.9190, 4.9190 Å; angles 60.00, 60.00, 60.00 degrees
Cell lengths 4.8458, 4.8458, 4.8458 Å; angles 60.00, 60.00, 60.00 degrees